GREATER VICTORIA – Many years ago, when I first entered the workforce, most people didn’t talk about mental health as something that needed to be supported.
Data records that have nothing to do with the entry
'''
Record 1
DFT (r²SCAN) results for a geometry-optimized Pm2CuSn structure.

Output
Size of the total moment (μB per cell): 0.00

The structure in extended XYZ format:
```
4
Lattice="-0.0024 3.7316 3.7034 3.7247 0.0222 3.7256 3.7186 3.7152 -0.0192" Properties=species:S:1:pos:R:3 pbc="T T T"
Sn 5.5807 5.6017 5.5573
Cu 1.8599 1.8677 1.8527
Pm 3.7200 3.7358 3.7043
Pm 3.7168 7.4453 3.6847
```

=====

Record 2
DFT (r²SCAN) results for a geometry-optimized YbPmCu2 structure.

Output
Size of the total moment (μB per cell): 0.00

The structure in extended XYZ format:
```
4
Lattice="0.0000 3.4554 3.4554 3.4554 0.0000 3.4554 3.4554 3.4554 0.0000" Properties=species:S:1:pos:R:3 pbc="T T T"
Cu 5.1830 5.1830 5.1830
Cu 1.7277 1.7277 1.7277
Pm 3.4554 3.4554 3.4554
Yb 0.0000 0.0000 0.0000
```

=====

Record 3
DFT (r²SCAN) results for a geometry-optimized PrCu6 structure.

Output
Size of the total moment (μB per cell): 0.00

The structure in extended XYZ format:
```
28
Lattice="-4.4841 2.0153 -1.2924 -3.5524 -7.0474 1.3359 -1.5867 2.6168 9.5853" Properties=species:S:1:pos:R:3 pbc="T T T"
Cu -1.8795 -0.1807 1.2411
Cu -4.0795 -1.9091 6.1787
Cu -3.4336 0.2090 7.2406
Cu -5.2265 -3.2871 8.0096
Cu -4.4835 2.0776 3.8008
Cu -6.1896 -2.6243 2.3881
Cu -5.7906 3.3529 5.4132
Cu -5.1397 -4.4930 5.8280
Cu -4.0687 -1.5689 1.7607
Cu -7.7575 0.1437 7.2331
Cu -6.0356 -4.7781 3.5806
Cu -1.8657 -2.5590 2.3957
Cu -5.6257 0.7253 5.6548
Cu -7.7437 -2.2347 8.3876
Cu -4.3967 0.8718 1.6191
Cu -3.9975 -3.1407 3.9739
Cu -3.8326 -5.7683 4.2156
Cu -3.5876 2.3628 6.0481
Cu -4.1054 0.2544 9.6423
Cu -6.8425 -4.8172 1.2341
Cu -2.7807 2.4019 8.3946
Cu -5.5178 -2.6697 -0.0135
Cu -5.5437 -0.5062 3.4500
Cu -5.5545 -0.8464 7.8681
Pr -2.7438 -0.1998 4.2098
Pr -6.8794 -2.2156 5.4190
Pr -3.9284 -4.6990 1.3043
Pr -5.6948 2.2837 8.3245
```

=====

Record 4
DFT (r²SCAN) results for a geometry-optimized PrCu6 structure.

Output
Size of the total moment (μB per cell): 0.00

The structure in extended XYZ format:
```
28
Lattice="5.0821 -0.0039 0.0000 -0.1934 8.0073 0.0000 0.0000 0.0000 10.0510" Properties=species:S:1:pos:R:3 pbc="T T T"
Cu 1.1947 3.2095 9.8894
Cu -0.1564 7.5032 3.1300
Cu 5.0450 0.5001 6.9209
Cu 1.0530 4.5182 6.0199
Cu 3.6985 6.8035 8.6183
Cu 3.6939 4.7938 0.1615
Cu 1.1497 0.5146 9.0565
Cu 1.1901 1.1998 1.4327
Cu 3.7746 1.4520 2.4608
Cu 4.9483 4.5037 8.1555
Cu 1.0980 7.2131 5.1870
Cu 3.8357 3.4851 4.0311
Cu 2.4380 3.4675 1.9365
Cu 2.5474 0.5322 6.9620
Cu 2.3413 7.4711 3.0890
Cu 3.7952 2.7998 6.4581
Cu 1.2107 2.5477 7.4863
Cu 3.6779 5.4556 2.5647
Cu 2.4507 4.5358 8.1145
Cu 1.1140 6.5513 7.5901
Cu -0.0597 3.4996 1.8954
Cu 3.7906 0.7902 4.8640
Cu 1.0934 5.2035 3.5928
Cu 3.7389 7.4888 0.9944
Pr 1.1669 6.0969 0.6363
Pr 1.2636 2.0933 4.3892
Pr 3.7217 1.9064 9.4147
Pr 3.6250 5.9101 5.6617
```

=====

Record 5
DFT (r²SCAN) results for a geometry-optimized PrCu5 structure.

Output
Size of the total moment (μB per cell): 0.00

The structure in extended XYZ format:
```
6
'''
I wonder how many people I’ve worked with who might have had better outcomes if employers truly understood the value of supporting their staff’s mental wellbeing.
We do a much better job today. There are a number of dates on the calendar — such as Mental Health Day on Oct. 10 — that are helping build awareness. We now know that all of us are affected by mental health in some way. Like many, I’ve shared personal stories on social media and in my Chamber Chats podcast of my own struggles as a younger person with mental health because I believe it’s past time to address the stigma that can keep people from getting help.
In September, I’m hosting a conversation with Jonny Morris, CEO of the Canadian Mental Health Association’s BC Division. I’m looking forward to the discussion and how businesses can help with efforts to continue improving the health of their employees. As a prelude to this you might want to check out the Chamber Chat podcast I did with Jonny a few months ago.
The World Health Organization recognizes the important role that work plays in regard to mental health. Our jobs are a big part of how we think of ourselves. They can give us a sense of purpose and help us feel good about contributing to our communities.
There is also a financial incentive to promoting a healthy environment at work as physical and mental health concerns can have a direct economic impact on a business. The WHO estimates that depression and anxiety cost the global economy more than $1 trillion every year. Conversely, every $1 put into addressing common mental health challenges results in a return of $4 because of improved productivity and fewer sick days.
• Unrelated to this entry: crystal structures:
┌──
Record 1
Pm2AgRh: relaxed, r²SCAN.

Summary:
- V: 23.27 Å³ per atom

abc: 5.087 5.087 5.087
angles: 60.00 60.00 60.00
Fractional coordinates of all 4 atoms:
Pm: 0.000 0.000 0.000
Pm: 0.500 0.500 0.500
Ag: 0.250 0.250 0.250
Rh: 0.750 0.750 0.750

=====

Record 2
LaAl3Au: relaxed, r²SCAN.

Summary:
- V: 20.79 Å³ per atom

abc: 6.272 6.272 6.272
angles: 139.29 139.29 58.93
Fractional coordinates of all 5 atoms:
La: 0.989 0.989 0.000
Al: 0.398 0.398 0.000
Al: 0.250 0.750 0.500
Al: 0.750 0.250 0.500
Au: 0.628 0.628 0.000

=====

Record 3
Er4Ni2C5: relaxed, r²SCAN.

Summary:
- V: 13.60 Å³ per atom

abc: 3.574 3.653 11.458
angles: 90.00 90.00 90.00
Fractional coordinates of all 11 atoms:
Er: 0.500 0.503 0.204
Er: 0.500 0.503 0.796
Er: 0.500 0.210 0.500
Er: 0.000 0.000 0.000
Ni: 0.000 0.699 0.385
Ni: 0.000 0.699 0.615
C: 0.000 0.999 0.229
C: 0.000 0.999 0.771
C: 0.000 0.198 0.333
C: 0.000 0.198 0.667
C: 0.500 0.493 0.000

=====

ΔE_f in meV/atom, matching the order above: -515 -734 -519

* * * * *

1.
DFT (PBE) results for crystalline LaUN2 at its relaxed geometry.

Output
MP2020-corrected energy in eV for the cell shown: -39.1
ΔE_f in kJ/mol of atoms: -150
Calculated density in g cm⁻³: 10.45
Uncorrected energy in eV per atom: -9.596

abc: 6.241 6.241 6.241
angles: 33.06 33.06 33.06
Element x y z (fractional)
La  0.000  0.000  0.000
U  0.500  0.500  0.500
N  0.232  0.232  0.232
N  0.768  0.768  0.768

---

2.
DFT (PBE) results for crystalline La3V2N6 at its relaxed geometry.

Output
MP2020-corrected energy in eV for the cell shown: -99.6
ΔE_f in kJ/mol of atoms: -146
Calculated density in g cm⁻³: 6.53
Uncorrected energy in eV per atom: -8.861

abc: 10.393 10.393 10.393
angles: 158.31 158.31 30.86
Element x y z (fractional)
La  0.000  0.000  0.000
La  0.822  0.822  0.000
La  0.178  0.178  0.000
V  0.397  0.397  0.000
V  0.603  0.603  0.000
N  0.087  0.587  0.500
N  0.587  0.087  0.500
N  0.913  0.413  0.500
N  0.413  0.913  0.500
N  0.694  0.694  0.000
N  0.306  0.306  0.000

---

3.
DFT (PBE) results for crystalline NaLa3 at its relaxed geometry.

Output
ΔE_f in kJ/mol of atoms: 23
Calculated density in g cm⁻³: 5.03
Uncorrected energy in eV per atom: -3.797

abc: 5.256 5.256 5.256
angles: 90.00 90.00 90.00
Element x y z (fractional)
Na  0.000  0.000  0.000
La  0.500  0.000  0.500
La  0.000  0.500  0.500
La  0.500  0.500  0.000

---

4.
DFT (PBE) results for crystalline NaLaNb2O7 at its relaxed geometry.

Output
MP2020-corrected energy in eV for the cell shown: -96.0
ΔE_f in kJ/mol of atoms: -306
Calculated density in g cm⁻³: 4.56
Uncorrected energy in eV per atom: -8.293

abc: 3.931 3.931 11.184
angles: 79.88 79.88 90.00
Element x y z (fractional)
Na  0.750  0.250  0.500
La  0.000  0.000  0.000
Nb  0.393  0.393  0.213
Nb  0.607  0.607  0.787
O  0.586  0.086  0.827
O  0.086  0.586  0.829
O  0.414  0.914  0.171
O  0.914  0.414  0.173
O  0.310  0.310  0.380
O  0.690  0.690  0.620
O  0.500  0.500  0.000

---

5.
└──
• Here the entry continues:
Most of us spend more time at work than we do with our families. It makes sense that our workplaces should be places we want to be. Sadly, according to the Mental Health Commission of Canada, 70 per cent of Canadians are concerned about the psychological safety of their workplace, including 14 per cent who don’t feel safe at all. This takes a huge toll on our economic productivity and shows up in costs such as disability claims. Nationwide, the cost of not addressing mental health is more than $50 billion every year. Issues such as absenteeism, turnover and even the inability of staff to be fully present at work are negatively affecting businesses.
Inserted here: records of crystals =
~~~
(1)
Density functional theory data (GGA-PBE) for a geometry-optimized VWC2 structure.

Lattice parameters (Å, degrees): 3.0341 3.0341 14.8017 90.00 90.00 120.00
Space group R-3m (No. 166, hexagonal axes)
Unique sites:
V  0.0000  0.0000  0.0000 [3 per cell]
W  0.0000  0.0000  0.5000 [3 per cell]
C  0.0000  0.0000  0.2535 [6 per cell]

Computed properties:
total magnetic moment: 0.0 μB/f.u.
crystal system: trigonal


(2)
Density functional theory data (GGA-PBE) for a geometry-optimized WC structure.

Lattice parameters (Å, degrees): 4.385 4.385 4.385 90.00 90.00 90.00
Space group Fm-3m (No. 225)
Unique sites:
W  0.000  0.000  0.000 [4 per cell]
C  0.000  0.000  0.500 [4 per cell]
~~~
Fortunately, there are many resources available to make a positive difference in the lives of those we work with. Employment and Social Development Canada has identified a number of best practices for employers, including supporting employees’ participation and decision-making, promoting work-life balance and effectively recognizing your staff’s contributions.
With so many employers facing challenges finding and keeping employees, having a great workplace is one of the best business decisions you can make. I hope you join me on Sept. 20, from 11:30 am to 1 pm at the Parkside Hotel and Spa, to learn more about Building Mental Health in the Workplace. To register, go to victoriachamber.ca.
Bruce Williams is CEO of the Greater Victoria Chamber of Commerce